How To Network Like A Pro.

### Between two parts of the piece: materials data
-- begin --
--- one ---
## Zr6Bi2H (PBE)

Data for crystalline Zr6Bi2H at its relaxed geometry.

```
Zr6Bi2H
1.0
5.9863 0.0000 0.0000
0.0000 6.8807 0.0000
-5.9652 0.0000 9.4214
Zr Bi H
12 4 2
Cartesian
-2.2330 1.4631 4.4633 Zr
-5.2156 1.9773 9.1740 Zr
-0.7405 4.8701 4.4659 Zr
-3.7231 5.4509 9.1766 Zr
0.7662 0.1065 2.3553 Zr
-2.2164 3.3339 7.0660 Zr
2.2375 3.5468 2.3554 Zr
-0.7451 6.7742 7.0661 Zr
3.7442 1.4298 0.2448 Zr
0.7616 2.0106 4.9555 Zr
5.2367 4.9034 0.2474 Zr
2.2540 5.4176 4.9580 Zr
-3.6136 0.6303 7.0548 Bi
-0.6310 2.8101 2.3442 Bi
0.6521 4.0706 7.0772 Bi
3.6347 6.2504 2.3665 Bi
0.0105 0.0000 4.7107 H
2.9931 3.4403 0.0000 H
```



--- two ---
## Zr6Bi2H (PBE)

Data for crystalline Zr6Bi2H at its relaxed geometry.

```
Zr6Bi2H
1.0
-3.1322 3.1322 4.7455
3.1322 -3.1322 4.7455
3.1322 3.1322 -4.7455
Zr Bi H
6 2 1
Cartesian
0.0000 0.0000 2.3617 Zr
1.5831 1.5831 0.0000 Zr
1.5491 -1.5491 4.7455 Zr
-1.5491 1.5491 4.7455 Zr
1.5491 1.5491 4.7455 Zr
0.0000 0.0000 7.1294 Zr
3.1322 0.0000 2.3728 Bi
0.0000 3.1322 2.3728 Bi
0.0000 0.0000 0.0000 H
```



Which of them is the most stable, and which is the least stable? two and one, in that order.



--- one ---
## Zr4Bi3H (PBE)

Data for crystalline Zr4Bi3H at its relaxed geometry.

```
Zr4Bi3H
1.0
9.0165 0.0000 0.0000
0.0000 7.7793 0.0000
0.0000 0.0000 5.6753
Zr Bi H
8 6 2
Cartesian
0.0000 0.9297 0.0000 Zr
0.0000 6.8002 2.9668 Zr
1.6516 1.6884 2.9521 Zr
2.8566 6.0908 0.1145 Zr
4.5082 0.9791 0.1292 Zr
4.5082 6.8495 2.8376 Zr
6.1598 6.0908 0.1145 Zr
7.3649 1.6884 2.9521 Zr
0.0000 5.7207 0.1315 Bi
2.1556 2.9444 0.1125 Bi
2.3526 4.8349 2.9501 Bi
4.5082 2.0586 2.9691 Bi
6.6638 4.8349 2.9501 Bi
6.8609 2.9444 0.1125 Bi
0.0000 0.8550 2.0556 H
4.5082 6.9242 4.8933 H
```



--- two ---
## Zr4Bi3H (PBE)

Data for crystalline Zr4Bi3H at its relaxed geometry.

```
Zr4Bi3H
1.0
3.2941 0.0000 0.0000
0.0000 9.2004 0.0000
0.0000 0.0000 12.3655
Zr Bi H
8 6 2
Cartesian
0.8235 0.5525 2.4858 Zr
0.8235 2.3001 10.2199 Zr
0.8235 4.0477 2.4858 Zr
0.8235 6.9003 7.2239 Zr
2.4705 2.3001 5.1416 Zr
2.4705 5.1527 9.8796 Zr
2.4705 6.9003 2.1456 Zr
2.4705 8.6479 9.8796 Zr
0.8235 0.6924 7.5990 Bi
0.8235 3.9077 7.5990 Bi
0.8235 6.9003 11.9227 Bi
2.4705 2.3001 0.4427 Bi
2.4705 5.2926 4.7664 Bi
2.4705 8.5079 4.7664 Bi
0.8235 2.3001 3.7842 H
2.4705 6.9003 8.5813 H
```



Which of them is the most stable, and which is the least stable? one and two, in that order.



--- one ---
## Hf5Bi (PBE)

Data for crystalline Hf5Bi at its relaxed geometry.

```
Hf5Bi
1.0
5.7878 -1.6342 0.0000
5.7878 1.6342 0.0000
-1.9605 0.0000 7.2964
Hf Bi
5 1
Cartesian
0.0000 0.0000 0.0000 Hf
-0.7133 0.0000 4.3623 Hf
2.4765 0.0000 4.7728 Hf
3.8790 0.0000 1.9745 Hf
6.9527 0.0000 2.4263 Hf
6.4731 0.0000 6.8307 Bi
```



--- two ---
## Hf5Bi (PBE)

Data for crystalline Hf5Bi at its relaxed geometry.

```
Hf5Bi
1.0
2.1911 -7.1159 0.0000
2.1911 7.1159 0.0000
0.0000 0.0000 4.3757
Hf Bi
5 1
Cartesian
0.0000 0.0000 0.0000 Hf
2.1911 4.6542 2.1879 Hf
2.1911 2.4404 0.0000 Hf
-- stop --
### The piece goes on

Last night, I was invited to attend a gala event at the prominent investment firm in NYC. There were 500-600 people there to meet, greet, and listen to great speakers talk about the market.  I was invited by one of my past clients - so I didn't break in uninvited like I usually do. Just kidding.

Here are some key techniques that I used to make the night a fruitful and productive one:

1. Don't Go To Ask For Leads, Go There To Help People Get Leads.

So many people HATE networking. Why? When you go around a room full of begging for business and connections, it SUCKS. You have to change your perspective 180° and go to HELP people and not ask for help. You are there to connect — get to know them, understand their needs, and figure out how to help them.

2. Show Up Early.

Ensure that you actually get there and are parked safely way ahead of time. With traffic, wrong turns and accidents, you never know what will impact your travel. It also gives you time to get the lay of the land, see how people are dressed/acting, and talk to some of the support staff to learn about the building/event. My client actually scoped out the location the day before, got a guided tour of the building from security, and learned all about the history of the building - which he used as a talking point when he networked. BRAVO!

3. Wear Your Nametag The RIGHT Way.

Bring your own in addition to the one that they provide. Nametags are CRITICAL to the networking process. Unfortunately, most event planners get a big 'F-' when they design the nametag. Usually, your name (the most important item on the nametag) is too small and their logo is too big. Morgan Stanley did it right - my name was nice and big (even enlarging my first name) all to make it stand out and readable from a distance. I also had my personal nametag in my breast pocket of my suit - just in case they failed misarably with the layout. Also - pin/clip your nametag to your left lapel (right side if you are looking down). Why? When you shake hands with someone, it allows their eyes to follow up your arm to your nametag. Trust me - this is the best way for people to remember your name.

4. Triangulate Your Body.

When networking with a partner, many people tend to face one another. This is a huge faux pas. By doing this, you literally cut yourself off from everyone else and announce (with your body language) that any intrusion into your conversation is not welcome. My client and I actively 'triangulated' ourselves at a 45 degree angle when we spoke. This invited others to mingle in and introduce themselves without fear of intrusion.

[The entry is interrupted by materials data]
=====
(1)
GGA-PBE Er3Al2, optimized geometry; symmetry = No. 136; energy of formation from the pure elements = -0.33 eV/atom
1.0
-5.965 1.861 5.236
-5.263 0.575 -6.199
-1.650 -7.321 0.722
Al Er
8 12
direct
0.381 0.381 0.060
0.619 0.619 0.060
0.119 0.881 0.560
0.881 0.119 0.560
0.381 0.381 0.452
0.619 0.619 0.452
0.119 0.881 0.952
0.881 0.119 0.952
0.000 0.500 0.006
0.000 0.500 0.506
0.500 0.000 0.506
0.500 0.000 0.006
0.150 0.150 0.256
0.850 0.850 0.256
0.350 0.650 0.756
0.650 0.350 0.756
0.202 0.202 0.756
0.798 0.798 0.756
0.298 0.702 0.256
0.702 0.298 0.256


(2)
GGA-PBE PuIn3Hg4, optimized geometry; symmetry = No. 10; energy of formation from the pure elements = -0.08 eV/atom
1.0
-0.688 0.297 -4.908
-0.884 -8.217 -0.374
-9.776 0.988 1.401
In Hg Pu
6 8 2
direct
0.000 0.000 0.000
0.000 0.000 0.500
0.501 0.000 0.750
0.499 0.000 0.250
0.501 0.500 0.750
0.499 0.500 0.250
0.500 0.752 0.000
0.500 0.752 0.500
0.500 0.248 0.000
0.500 0.248 0.500
0.001 0.752 0.750
0.999 0.752 0.250
0.999 0.248 0.250
0.001 0.248 0.750
0.000 0.500 0.000
0.000 0.500 0.500


(3)
GGA-PBE Ho5Pd3, optimized geometry; symmetry = No. 130; energy of formation from the pure elements = -0.70 eV/atom; E above lowest polymorph = 0.000 eV/atom
1.0
-2.318 -4.875 3.344
4.959 -7.115 -6.935
9.071 0.080 6.404
Ho Pd
20 12
direct
0.370 0.291 0.089
0.870 0.291 0.911
0.870 0.709 0.089
0.370 0.709 0.911
0.870 0.589 0.791
0.370 0.589 0.209
0.370 0.411 0.791
0.870 0.411 0.209
0.630 0.209 0.411
0.130 0.209 0.589
0.130 0.791 0.411
0.630 0.791 0.589
0.130 0.911 0.709
0.630 0.911 0.291
0.630 0.089 0.709
0.130 0.089 0.291
0.500 0.000 0.000
0.000 0.000 0.000
0.000 0.500 0.500
0.500 0.500 0.500
0.250 0.845 0.155
0.750 0.845 0.845
0.750 0.155 0.155
0.250 0.155 0.845
0.750 0.655 0.345
0.250 0.655 0.655
0.250 0.345 0.345
0.750 0.345 0.655
0.112 0.500 0.000
0.612 0.500 0.000
0.888 0.000 0.500
0.388 0.000 0.500


(4)
GGA-PBE Al3InSn3, optimized geometry; symmetry = No. 223; energy of formation from the pure elements = 0.35 eV/atom
1.0
7.674 0.000 0.000
0.000 7.674 0.000
0.000 0.000 7.674
Al Sn In
6 6 2
direct
0.000 0.250 0.500
0.000 0.750 0.500
0.500 0.000 0.750
0.750 0.500 0.000
0.500 0.000 0.250
0.250 0.500 0.000
0.250 0.000 0.500
0.000 0.500 0.250
0.500 0.750 0.000
0.750 0.000 0.500
0.000 0.500 0.750
0.500 0.250 0.000
0.500 0.500 0.500
0.000 0.000 0.000


(5)
GGA-PBE SrTcCl, optimized geometry; symmetry = No. 216; raw formation energy = 498 meV/atom; E above lowest polymorph = 0.270 eV/atom
1.0
4.757 0.000 0.000
2.378 4.119 0.000
2.378 1.373 3.884
Cl Sr Tc
1 1 1
direct
0.750 0.750 0.750
0.000 0.000 0.000
0.500 0.500 0.500


(6)
GGA-PBE NpTl3Cu2Se6, optimized geometry; symmetry = No. 12; raw formation energy = -432 meV/atom
1.0
0.038 4.916 6.046
-1.341 -7.667 -0.377
7.385 -0.210 -1.175
Np Tl Cu Se
1 3 2 6
direct
0.000 0.000 0.000
0.184 0.816 0.500
0.816 0.184 0.500
0.500 0.500 0.500
0.408 0.592 0.000
0.592 0.408 0.000
0.863 0.579 0.808
0.788 0.788 0.257
0.137 0.421 0.192
0.579 0.863 0.808
0.212 0.212 0.743
=====

5. Always Have A Free Hand.

Juggling a drink and an appetizer plate? Put one down. Always have a free hand to shake hands, make a point, or touch someone to enforce an idea. I can't tell you how many people bumble and juggle their drink/food when you first meet them. It doesn't leave a good first impression.

6. Act Like A Host.

Nervous about walking up to people and introducing yourself? Just act like a host - walk up, introduce yourself, and ask how their night is going. Or how the food is. Or is their wine up to snuff. They will never ask you if you are the host - they will just infer that you are an important person and you care about their welfare. A great way to start a professional relationship!

7. Always Talk About THEM.

Bottom line, who cares about you? Only YOU. So always position the conversation around the person you are talking to. Use my technique - Ask a question, listen, repeat. The more your ask questions, the more you learn about the person you are talking to AND the more that they are engaged into the conversation. This allows you to position and align any answers you provide to their interests.

There are so many more - but these are the best for now.


P.S. Want to expand your networking success? Let’s talk. I’ve worked with thousands of people who wanted to take assertive steps in this area — call or email me to schedule a complimentary session.

Image: Royalty-Free License from Dollar Photo Club 2014.